Entries:
<<<
VASP calculation (PBE) on a relaxed structure of Ho7ErTh3.

Cell lengths 6.8839, 5.4851, 10.0705 Å; angles 90.00, 109.70, 90.00 degrees
Fractional coordinates of all 11 atoms:
1 Ho 0.0000 0.0000 0.0000
2 Ho 0.1391 0.5000 0.2925
3 Ho 0.3258 0.5000 0.6379
4 Ho 0.4155 0.0000 0.8289
5 Ho 0.5845 0.0000 0.1711
6 Ho 0.6742 0.5000 0.3621
7 Ho 0.8609 0.5000 0.7075
8 Er 0.5000 0.0000 0.5000
9 Th 0.0000 0.0000 0.5000
10 Th 0.2767 0.5000 0.9987
11 Th 0.7233 0.5000 0.0013

Computed properties:
Space group   P2/m
Formation energy from the elements   0.15 eV/atom
ΔE to the lowest computed polymorph   0 meV per atom
Spin magnetization   0.00 μB/cell
Calculated density   9.36 Mg/m³
>>>

What to do:
Find "Fractional coordinates" and "9.36 Mg/m³" in the entries above, and quote these two lines and those between.

Outcome:
Fractional coordinates of all 11 atoms:
1 Ho 0.0000 0.0000 0.0000
2 Ho 0.1391 0.5000 0.2925
3 Ho 0.3258 0.5000 0.6379
4 Ho 0.4155 0.0000 0.8289
5 Ho 0.5845 0.0000 0.1711
6 Ho 0.6742 0.5000 0.3621
7 Ho 0.8609 0.5000 0.7075
8 Er 0.5000 0.0000 0.5000
9 Th 0.0000 0.0000 0.5000
10 Th 0.2767 0.5000 0.9987
11 Th 0.7233 0.5000 0.0013

Computed properties:
Space group   P2/m
Formation energy from the elements   0.15 eV/atom
ΔE to the lowest computed polymorph   0 meV per atom
Spin magnetization   0.00 μB/cell
Calculated density   9.36 Mg/m³